Citrus canker disease: When proteins involved in the antioxidant metabolism are high in concentration during the interaction of Xanthomonas citri.
**Calculated crystals from another source follow**
+++
Entry 1:
Ba3CaSb2O9 | GGA-PBE | relaxed

Lattice parameters (Å, degrees): 6.0864 6.0864 15.0747 91.03 91.03 119.80
Element x y z (fractional)
Ba (0.0100, 0.9900, 0.7500)
Ba (0.3230, 0.6606, 0.4101)
Ba (0.3394, 0.6770, 0.0899)
Ba (0.6606, 0.3230, 0.9101)
Ba (0.6770, 0.3394, 0.5899)
Ba (0.9900, 0.0100, 0.2500)
Ca (0.0000, 0.0000, 0.0000)
Ca (0.0000, 0.0000, 0.5000)
Sb (0.3166, 0.6425, 0.8454)
Sb (0.3575, 0.6834, 0.6546)
Sb (0.6425, 0.3166, 0.3454)
Sb (0.6834, 0.3575, 0.1546)
O (0.0485, 0.5208, 0.7364)
O (0.1314, 0.3050, 0.8951)
O (0.1370, 0.7808, 0.9123)
O (0.2192, 0.8630, 0.5877)
O (0.2268, 0.3905, 0.5722)
O (0.3050, 0.1314, 0.3951)
O (0.3905, 0.2268, 0.0722)
O (0.4792, 0.9515, 0.7636)
O (0.4829, 0.5171, 0.7500)
O (0.5171, 0.4829, 0.2500)
O (0.5208, 0.0485, 0.2364)
O (0.6095, 0.7732, 0.9278)
O (0.6950, 0.8686, 0.6049)
O (0.7732, 0.6095, 0.4278)
O (0.7808, 0.1370, 0.4123)
O (0.8630, 0.2192, 0.0877)
O (0.8686, 0.6950, 0.1049)
O (0.9515, 0.4792, 0.2636)

Calculated values
As for the total energy: -6.3869 eV per atom. As for the formation energy: -2.76 eV per atom.

Entry 2:
BaCaSmSbO6 | GGA-PBE | relaxed

Lattice parameters (Å, degrees): 5.9472 5.9992 8.4674 90.43 90.51 90.09
Element x y z (fractional)
Ba (0.0050, 0.0270, 0.2503)
Ba (0.9950, 0.9730, 0.7497)
Ca (0.4929, 0.5392, 0.2540)
Ca (0.5071, 0.4608, 0.7460)
Sm (0.0000, 0.5000, 0.5000)
Sm (0.5000, 0.0000, 0.0000)
Sb (0.0000, 0.5000, 0.0000)
Sb (0.5000, 0.0000, 0.5000)
O (0.1027, 0.4958, 0.7691)
O (0.1993, 0.7662, 0.0361)
O (0.2305, 0.8011, 0.4750)
O (0.2709, 0.3082, 0.0590)
O (0.3154, 0.2786, 0.4480)
O (0.4417, 0.0572, 0.7322)
O (0.5583, 0.9428, 0.2678)
O (0.6846, 0.7214, 0.5520)
O (0.7291, 0.6918, 0.9410)
O (0.7695, 0.1989, 0.5250)
O (0.8007, 0.2338, 0.9639)
O (0.8973, 0.5042, 0.2309)

Calculated values
As for the total energy: -6.8440 eV per atom. The excess energy over the best structure of this formula in the dataset comes out at 3 meV per atom. As for the formation energy: -3.01 eV per atom.

----------

Entry 1:
DFT (r2SCAN) results for Ag3O4 after structural relaxation.

Results
The total magnetization comes out at 0.0 Bohr magnetons per cell. As for the final energy: -12.6828 eV/atom. For the volume, the calculation gives 13.0 Å³/atom.

The structure in CIF format:
```
data_Ag3O4
_chemical_formula_sum 'Ag6 O8'
_space_group_name_H-M_alt 'P 1 21/c 1'
_space_group_IT_number 14
_cell_length_a 3.601
_cell_length_b 9.232
_cell_length_c 5.676
_cell_angle_alpha 90.00
_cell_angle_beta 104.60
_cell_angle_gamma 90.00
loop_
_space_group_symop_operation_xyz
'x,y,z'
'-x,-y,-z'
'-x,y+1/2,-z+1/2'
'x,-y+1/2,z+1/2'
loop_
_atom_site_label
_atom_site_type_symbol
_atom_site_fract_x
_atom_site_fract_y
_atom_site_fract_z
_atom_site_occupancy
Ag1 Ag 0.000 0.000 0.000 1
Ag2 Ag 0.287 0.142 0.549 1
O1 O 0.046 0.191 0.831 1
O2 O 0.475 0.045 0.273 1
```

=====

Entry 2:
DFT (r2SCAN) results for TaAgP4O13 after structural relaxation.

Results
+++
**End of the calculated crystals**
The presence of nutrients depends on the soil properties plant growth nature and root interaction with microbes. Nutrients likewise potassium, copper, zinc, and phosphorus have a minor availability of soil.
┌──
<i>
{
  "formula": "NaAlSi2O6",
  "functional": "PBE",
  "state": "relaxed",
  "cell": [[4.7819, -4.3335, 0.0000], [4.7819, 4.3335, 0.0000], [-1.6160, 0.0000, 5.0396]],
  "species": ["Na", "Na", "Al", "Al", "Si", "Si", "Si", "Si", "O", "O", "O", "O", "O", "O", "O", "O", "O", "O", "O", "O"],
  "fractional_positions": [[0.2000, 0.8000, 0.7500], [0.8000, 0.2000, 0.2500], [0.4050, 0.5950, 0.2500], [0.5950, 0.4050, 0.7500], [0.1169, 0.3034, 0.7745], [0.3034, 0.1169, 0.2745], [0.6966, 0.8831, 0.7255], [0.8831, 0.6966, 0.2255], [0.1240, 0.5990, 0.2910], [0.1417, 0.1533, 0.9944], [0.1533, 0.1417, 0.4944], [0.3155, 0.4672, 0.8732], [0.4010, 0.8760, 0.2090], [0.4672, 0.3155, 0.3732], [0.5328, 0.6845, 0.6268], [0.5990, 0.1240, 0.7910], [0.6845, 0.5328, 0.1268], [0.8467, 0.8583, 0.5056], [0.8583, 0.8467, 0.0056], [0.8760, 0.4010, 0.7090]],
  "magnetic_moment_mub_per_fu": 0.0,
  "space_group": "C2/c (15)"
}

---

<ii>
{
  "formula": "NaAlSi2O6",
  "functional": "PBE",
  "state": "relaxed",
  "cell": [[9.8154, -6.8228, 0.0000], [9.8154, 6.8228, 0.0000], [-9.7536, 0.0000, 9.8724]],
  "species": ["Na", "Na", "Na", "Na", "Na", "Na", "Na", "Na", "Al", "Al", "Al", "Al", "Al", "Al", "Al", "Al", "Si", "Si", "Si", "Si", "Si", "Si", "Si", "Si", "Si", "Si", "Si", "Si", "Si", "Si", "Si", "Si", "O", "O", "O", "O", "O", "O", "O", "O", "O", "O", "O", "O", "O", "O", "O", "O", "O", "O", "O", "O", "O", "O", "O", "O", "O", "O", "O", "O", "O", "O", "O", "O", "O", "O", "O", "O", "O", "O", "O", "O", "O", "O", "O", "O", "O", "O", "O", "O"],
└──
End of the materials data:
Soil have essential micronutrient plants like molybdenum, manganese, zinc, iron, copper, have more resistant to citrus canker but boron has a middle effect on the disease severity. Application of these nutrients increases the resistant of plant against citrus canker causal organism Xanthomonas citri.
Such types of nutrients applied in fertilizer forms like zinc sulfate, manganese sulfate copper sulfate, boric acid, and ferrous sulfate. Through biochemical analysis of citrus leaves which are infected by citrus canker shows an increase in the level of phenols concentration and a decrease in amino acid concentration as related to the healthy leaves. Photosynthesis rate decreases due to the attack of citrus canker.
The correlation between nitrogen and disease development is a significant increase in nitrogen leads to an increase in disease but the optimum amount suppresses disease development.
Apply sufficient amount nitrogen on plants in response to different structures, amino acids, and protein produced in plants that help in plant development and increase defense mechanism in plant and control fungal and bacterial diseases.
In the case of the fungal pathogen, infection high level of nitrogen increases disease severity. While in the case of bacterial infection like Xanthomonas citri high level of nitrogen decrease the disease severity.
Phosphorus is the second most important nutrients of plant growth. A high level of phosphorus reduces the bacterial pathogen infection caused by Xanthomonas species it has experimented in the case of (BLB) bacterial blight of rice.
The optimum amount of potassium manages the bacterial disease and also decrease the susceptibility of plants against a bacterial pathogen. Cell wall production in plants through potassium also increases the defense mechanism of plants. In plants enzymatic action and stomata opening control by potassium.
The less quantity of potassium in the soil leads to bacterial disease. Presence of potassium in large amount it affects nutrients uptakes like calcium and magnesium. Also, the insufficient amount of potassium in plants disturbs the production of protein. A high level of potassium decreases the disease development caused by Xanthomonas species.
Calcium is the main constituent of making newly tissues of cells and performs cell membrane function. Insufficient amount of calcium decrease the level of sugars and amino acids in the cell membrane take place in the cytoplasm which damage cell wall function and cell wall become weak and entry of pathogen occurred which caused infection. A sufficient amount of calcium is responsible for the cell wall structure.
[Materials data, kept here for reference]
********
The following is a DFT calculation (r2SCAN) of a geometry-optimized CrNiO4 structure.

Unit cell a=4.907 b=4.907 c=6.099 alpha=90.00 beta=90.00 gamma=112.40
Fractional coordinates of all 12 atoms:
Cr: 0.642 0.358 0.250
Cr: 0.358 0.642 0.750
Ni: 0.000 0.000 0.500
Ni: 0.000 0.000 0.000
O: 0.220 0.268 0.750
O: 0.780 0.732 0.250
O: 0.268 0.220 0.250
O: 0.732 0.780 0.750
O: 0.241 0.759 0.965
O: 0.759 0.241 0.465
O: 0.759 0.241 0.035
O: 0.241 0.759 0.535

Magnetic moment   4.00 Bohr magnetons per cell
Density   4.3 g/cm³
Total energy   -60.78 eV per formula unit

The following is a DFT calculation (r2SCAN) of a geometry-optimized SiO2 structure.

Unit cell a=4.917 b=4.917 c=5.432 alpha=90.00 beta=90.00 gamma=120.00
Fractional coordinates of all 9 atoms:
Si: 0.000 0.469 0.333
Si: 0.531 0.531 0.000
Si: 0.469 0.000 0.667
O: 0.145 0.731 0.548
O: 0.587 0.855 0.881
O: 0.269 0.413 0.214
O: 0.413 0.269 0.786
O: 0.855 0.587 0.119
O: 0.731 0.145 0.452

Magnetic moment   0.00 Bohr magnetons per cell
Density   2.6 g/cm³
Total energy   -29.83 eV per formula unit

The following is a DFT calculation (r2SCAN) of a geometry-optimized La3TaO7 structure.

Unit cell a=6.752 b=6.752 c=3.956 alpha=90.00 beta=90.00 gamma=110.70
Fractional coordinates of all 11 atoms:
La: 0.000 0.000 0.000
La: 0.500 0.000 0.500
La: 0.000 0.500 0.500
Ta: 0.500 0.500 0.000
O: 0.500 0.500 0.500
O: 0.432 0.186 0.000
O: 0.814 0.568 0.000
O: 0.568 0.814 0.000
O: 0.186 0.432 0.000
O: 0.130 0.870 0.500
O: 0.870 0.130 0.500

Magnetic moment   0.00 Bohr magnetons per cell
Density   7.0 g/cm³
Total energy   -219.85 eV per formula unit

The following is a DFT calculation (r2SCAN) of a geometry-optimized YbSi2Au2 structure.

Unit cell a=4.203 b=4.203 c=5.888 alpha=110.91 beta=110.91 gamma=90.00
Fractional coordinates of all 5 atoms:
Yb: 0.000 0.000 0.000
Si: 0.611 0.611 0.222
Si: 0.389 0.389 0.778
Au: 0.250 0.750 0.500
Au: 0.750 0.250 0.500

Magnetic moment   0.00 Bohr magnetons per cell
Density   11.5 g/cm³
Total energy   -157.88 eV per formula unit

The following is a DFT calculation (r2SCAN) of a geometry-optimized GdSi2Ni2 structure.

Unit cell a=5.530 b=5.530 c=5.530 alpha=137.94 beta=137.94 gamma=60.99
Fractional coordinates of all 5 atoms:
Gd: 0.000 0.000 0.000
Si: 0.629 0.629 0.000
Si: 0.371 0.371 0.000
Ni: 0.250 0.750 0.500
Ni: 0.750 0.250 0.500

Magnetic moment   7.39 Bohr magnetons per cell
Density   7.3 g/cm³
Total energy   -89.09 eV per formula unit

The following is a DFT calculation (r2SCAN) of a geometry-optimized NdCuGe2 structure.

Unit cell a=8.869 b=8.869 c=4.194 alpha=90.00 beta=90.00 gamma=152.18
Fractional coordinates of all 8 atoms:
Nd: 0.896 0.104 0.750
Nd: 0.104 0.896 0.250
Cu: 0.676 0.324 0.750
Cu: 0.324 0.676 0.250
Ge: 0.539 0.461 0.750
Ge: 0.461 0.539 0.250
Ge: 0.249 0.751 0.750
Ge: 0.751 0.249 0.250

Magnetic moment   0.00 Bohr magnetons per cell
Density   7.6 g/cm³
Total energy   -70.56 eV per formula unit
********
A sufficient amount of manganese in the soil is responsible for the suppression of bacterial diseases. It also increases the resistant of plants for both types of diseases caused by bacterial and fungal pathogens.
Decreased in the concentration of manganese increase the chance of infection caused by Xanthomonas species in citrus leaves and other many plants it damages the defense mechanism of plants also increases the susceptibility of plants.
In soil sufficient amount of zinc decrease the infection of the bacterial pathogen. It has been reported that zinc deficiency very sensitive to Xanthomonas species it decrease the defense mechanism of plants.
Due to deficiency of zinc plants become susceptible to infection of the pathogen. Zinc plays a vital role in the consumption of water and enhances the biochemical and metabolic process of plants.
High level of copper used for the management of citrus canker. A sufficient amount of copper decreases the susceptibility of plants and increases the defense mechanism against bacterial pathogen infection.
It plays a vital role in enhancing the resistant of plants against an attack of the pathogen. In citrus plants due to copper deficiency chlorosis occurred fruits drop and twigs towards decline.
It is an important constituent of chlorophyll and plays a vital role in plant metabolism. Its deficiency in citrus plants leads to fewer chlorophyll contents that cause chlorosis it affects the photosynthetic activity of leaves and the necrotic area produced in leaves.
It is also the main component of flavoproteins that include peroxidase and catalases. These proteins are responsible for the catabolic activities against bacterial pathogens and show defense mechanisms against bacterial infection. Its sufficient amount plays an important role in nucleic acid metabolism.
Sufficient amount of boron in soil not suitable for manage bacterial disease caused by bacterial pathogen like. It plays an important role in disease resistance and increases tolerance levels.
Due to less concentration of boron in citrus leaves the development of corky tissues occurred. It also decreases resistant to pest attack. Excess amount of boron consumes the phenolic compounds and flavonoids that are the main component of the defense mechanism of plants.